Consciousness- Perception of the surrounding world
Ganzfield Procedure- A method used to test for extra- sensory perception
Fantasy- Prone Personality- A personality trait that describes people who have trouble telling the difference between fantasy and reality
## Attached: crystal structures
<<<
Record 1
This entry pairs a crystal structure of KW2Br6N2 with its calculated X-ray powder pattern. Radiation: Cu Kα. Structure: a crystal structure in OQMD, relaxed with PBE.
Kinematic intensities with the Lorentz-polarization factor, no thermal factor.

Structure:
abc: 3.789 11.263 13.532
angles: 90.00 90.00 90.00
Space group Immm (No. 71)
Inequivalent atoms, fractional coordinates:
K 0.000 0.000 0.000 [2 per cell]
W 0.000 0.154 0.500 [4 per cell]
Br 0.000 0.000 0.351 [4 per cell]
Br 0.000 0.314 0.369 [8 per cell]
N 0.000 0.367 0.000 [4 per cell]

Peak list (8 most intense, 2θ from 15° to 90°, by intensity)
- 2θ 24.39, intensity 100
- 2θ 30.99, intensity 95
- 2θ 43.20, intensity 62
- 2θ 58.26, intensity 31
- 2θ 36.20, intensity 25
- 2θ 41.12, intensity 23
- 2θ 44.86, intensity 20
- 2θ 53.19, intensity 18

---

Record 2
This entry pairs a crystal structure of Ni10Hg with its calculated X-ray powder pattern. Radiation: Cu Kα. Structure: a crystal structure in OQMD, relaxed with PBE.
Kinematic intensities with the Lorentz-polarization factor, no thermal factor.

Structure:
abc: 7.819 3.496 29.797
angles: 90.00 90.12 90.00
Space group C2/m (No. 12)
Inequivalent atoms, fractional coordinates:
Ni 0.048 0.000 0.275 [4 per cell]
Ni 0.050 0.000 0.540 [4 per cell]
Ni 0.050 0.500 0.408 [4 per cell]
Ni 0.051 0.500 0.671 [4 per cell]
Ni 0.149 0.000 0.355 [4 per cell]
Ni 0.150 0.000 0.619 [4 per cell]
Ni 0.150 0.500 0.487 [4 per cell]
Ni 0.150 0.500 0.750 [4 per cell]
Ni 0.249 0.500 0.302 [4 per cell]
Ni 0.250 0.000 0.434 [4 per cell]
Hg 0.152 0.500 0.208 [4 per cell]

Peak list (8 most intense, 2θ from 15° to 90°, by intensity)
- 2θ 43.86, intensity 100
- 2θ 45.04, intensity 90
- 2θ 44.28, intensity 53
- 2θ 52.36, intensity 43
- 2θ 76.51, intensity 30
- 2θ 51.48, intensity 27
- 2θ 51.57, intensity 26
- 2θ 46.35, intensity 23

---

Record 3
This entry pairs a crystal structure of PmPrNO with its calculated X-ray powder pattern. Radiation: Cu Kα. Structure: a crystal structure in OQMD, relaxed with PBE.
Kinematic intensities with the Lorentz-polarization factor, no thermal factor.

Structure:
abc: 8.412 7.037 5.141
angles: 90.00 90.00 90.00
Space group Pbcm (No. 57)
Inequivalent atoms, fractional coordinates:
Pm 0.124 0.084 0.250 [4 per cell]
Pr 0.375 0.573 0.250 [4 per cell]
N 0.122 0.076 0.750 [4 per cell]
O 0.365 0.590 0.750 [4 per cell]

Peak list (8 most intense, 2θ from 15° to 90°, by intensity)
- 2θ 30.25, intensity 100
- 2θ 30.80, intensity 42
- 2θ 24.66, intensity 38
- 2θ 34.91, intensity 34
- 2θ 44.21, intensity 34
- 2θ 57.53, intensity 30
- 2θ 25.31, intensity 23
- 2θ 43.01, intensity 19

---

Record 4
This entry pairs a crystal structure of Lu3SbN2 with its calculated X-ray powder pattern. Radiation: Cu Kα. Structure: a crystal structure in OQMD, relaxed with PBE.
Kinematic intensities with the Lorentz-polarization factor, no thermal factor.

Structure:
abc: 3.4358 3.4358 19.8695
angles: 90.00 90.00 120.00
Space group P6_3/mmc (No. 194)
>>>
## So much for the crystal structures
Biological Rhythm- They cycle of psychological changes over time
Circadian Rhythm- Daily patterns of change
REM Sleep- Deep sleep that includes paralyzation, darting eye movement and dreams
Paradoxical Sleep- Sleep that has similar brain waves to those when awake, yet appears to be a deep sleep
Alpha Waves- Brain waves that occur when relaxed, but not in a deep sleep
Sleep- A combination of consciousness levels that allow for brain repairs and information processing
Hallucinations- Experiencing sensations that don’t really exist
Delta Waves- Brain waves that occur in deep sleep
Insomnia- The inability to fall or stay asleep
Narcolepsy- Sudden and uncontrollable lapses into sleep usually caused by sleep deprivation
Sleep Apnea- Temporarily stoppages in breath occurring multiple times a night that constantly awake the person experiencing it
Night Terrors- Intense fear that occurs during stage 4 sleep, usually causes blood- curling screams
Nightmares- Scary dreams that are designed to warn of potential dangers
REM Behavior Disorder- A sleep disorder that causes people to act out their dreams
Dream- Visual sensations that occur during sleep
Manifest Content- The content of a dream
Latent Content- The meaning of dreams
REM Rebound- A sleep state in which the body collects extra REM sleep to make up for the lost REM as a result of sleep deprivation
Hypnosis- An altered state of consciousness that causes people to be very open to suggestions
Posthypnotic Amnesia- Selective loss of memory after hypnosis
Posthypnotic Suggestion- Implementing an idea in someone’s mind during hypnosis that they will carry through afterwards
Dissociation- Being mentally detached from the immediate surroundings
Hidden Observer- The subconscious part of the brain that reacts to the surroundings
Psychoactive Drug- A chemical that causes a change in perception or consciousness
Tolerance- The body’s adaptation to a certain drug
Withdrawal- The body’s reaction to not having a certain drug for a period of time
Physical Dependance- Having a need for a drug so much, that it is needed to function
Psychological Dependence- An addiction
Depressants- Reduce brain activity and induce sleep
Stimulants- Increase brain activity and increase energy
Hallucinogens- Induce hallucinations
Barbiturates- Drugs that relax the body and produce a wide array of effects
Opiates- Drugs that activate the opiate receptors and are usually highly addictive
Amphetamines- Drugs that increase energy and focus
LSD- A famous hallucinogen
THC- The chemical in marijuana that causes it’s effects
Near- death Experience- A wide range of effects that come from an experience that almost resulted in death
Dualism- The idea that the mind and the body are separate parts
Biology of the Brain and Such:
1. Biological Psychology: Biological psychology attempts to describe individual humanbehavior and cognition through an evolutionary or adaptiveperspective. The backbone of this theoretical perspective lieswithin Charles Darwin's theory of natural selection. In it he assertsthat organisms must adapt to their surrounding environment orperish in favor of more suitable organisms. This is often known asthe survival of the fittest.
2. Neuron: a specialized, impulse-conducting cell that is thefunctional unit of the nervous system, consisting of the cell bodyand its processes, the axon and dendrites.
3. Dendrite: the branching process of a neuron that conductsimpulses toward the cell.
4. Axon: the appendage of the neuron that transmits impulsesaway from the cell body.
5. Myelin Sheath: a wrapping of myelin around certain nerve axons, serving as anelectrical insulator that speeds nerve